Imagination at work. Paddy McNabb Senior Engineer January 2016 Grid Stability Applications Wide Area Monitoring System
Synchrophasor Measurement V4V4 V1V1 Full per-cycle detail GPS Timestamp Phase V 4, V 1 Magnitude 1234 Synchrophasors: Key Features Synchronised V, I & Frq measurements 50/60Hz data captures dynamics 3-phase measurements Real-time streaming Time Phasor format Angle Difference increases with Power flow Impedance (weakened network)
[Calculated molecules from another source follow]
<<<
{"formula": "C14H35F3N2O3P", "method": "ωB97M-V/def2-TZVPD", "species": ["C", "C", "C", "N", "P", "O", "C", "C", "O", "C", "F", "F", "F", "H", "H", "H", "H", "H", "H", "H", "H", "H", "H", "H", "H", "H", "H", "H", "C", "C", "N", "C", "C", "C", "C", "C", "O", "C", "H", "H", "H", "H", "H", "H", "H", "H", "H", "H", "H", "H", "H", "H", "H", "H", "H", "H", "H", "H"], "xyz": [[-5.94505, -1.50428, 0.84785], [-4.58681, -1.53317, 0.13378], [-4.50618, -2.59530, -0.98036], [-3.22550, -3.31897, -1.01367], [-1.80987, -2.44236, -1.63366], [-0.52494, -1.51275, -2.38686], [-0.67797, -3.02471, -0.30131], [-1.20870, -2.89334, 1.11085], [-1.12952, -1.51668, 1.46396], [-0.37887, -3.70592, 2.10558], [-0.30048, -5.00156, 1.75372], [0.88280, -3.24183, 2.22731], [-0.93833, -3.64990, 3.33349], [-5.86178, -1.00358, 1.81803], [-6.68926, -0.96808, 0.24972], [-6.30881, -2.52164, 1.02431], [-3.78786, -1.70863, 0.86290], [-4.38167, -0.54400, -0.29633], [-5.29653, -3.33529, -0.81043], [-4.72840, -2.13078, -1.95434], [-3.34484, -4.18357, -1.52972], [-1.79949, -3.18812, -2.81861], [-2.54353, -1.24524, -1.57059], [-0.42433, -0.71866, -1.84501], [0.25604, -2.45947, -0.36516], [-0.43896, -4.06877, -0.52673], [-2.23547, -3.26129, 1.19388], [-1.67236, -1.36972, 2.24791], [1.33435, 2.36900, 2.08514], [2.28633, 3.03902, 1.11585], [3.31861, 2.12708, 0.48579], [4.18980, 1.57721, 1.58006], [4.24792, 2.94454, -0.39000], [3.66405, 3.61503, -1.62192], [2.73153, 0.92192, -0.21720], [1.69451, 1.11833, -1.30596], [0.53274, 1.74041, -0.80936], [-0.15198, 2.58769, -1.72758], [1.84033, 1.96752, 2.96205], [0.63931, 3.12899, 2.44013], [0.74409, 1.58543, 1.61713], [2.86654, 3.80704, 1.62967], [1.74183, 3.51514, 0.30818], [4.61874, 2.40856, 2.13294], [4.97823, 0.98127, 1.12825], [3.59400, 0.95359, 2.23689], [5.05706, 2.27348, -0.67526], [4.65964, 3.69874, 0.27941], [3.59505, 2.93632, -2.46749], [4.34689, 4.41040, -1.91861], [2.69243, 4.07382, -1.45025], [2.29887, 0.30935, 0.57219], [3.58119, 0.38152, -0.63581], [1.44984, 0.10214, -1.64071], [2.08868, 1.64128, -2.17522], [0.10314, 2.35325, -2.76190], [0.08418, 3.63760, -1.52703], [-1.22119, 2.44195, -1.58992]], "forces_ev_per_angstrom": [[0.146, 0.070, -0.077], [0.035, 0.098, -0.073], [-0.080, -0.119, 0.025], [0.003, 0.199, -0.155], [-0.084, -0.019, -0.268], [-0.168, 0.124, 0.204], [0.187, 0.088, 0.211], [0.095, 0.011, 0.120], [-0.125, -0.075, 0.021], [0.128, -0.071, 0.099], [-0.074, 0.277, 0.064], [-0.202, -0.085, -0.091], [0.102, 0.038, -0.195], [-0.090, -0.011, -0.177], [0.038, -0.159, 0.115], [0.023, 0.145, 0.027], [-0.125, -0.127, -0.103], [-0.010, -0.104, 0.168], [0.140, 0.065, -0.034], [-0.057, 0.025, 0.092], [-0.015, -0.029, 0.138], [0.204, -0.077, 0.043], [0.014, 0.014, 0.293], [0.035, 0.025, -0.160], [-0.126, -0.156, -0.030], [-0.151, 0.050, -0.008], [0.103, -0.076, -0.155], [0.037, 0.011, -0.035], [0.027, -0.119, 0.039], [-0.082, 0.138, 0.056], [0.144, -0.073, 0.089], [-0.069, 0.006, -0.082], [-0.035, 0.087, -0.078], [0.016, -0.043, -0.054], [-0.084, 0.006, 0.063], [-0.083, -0.062, -0.132], [0.027, 0.010, 0.045], [-0.046, -0.007, -0.007], [-0.001, 0.035, 0.009], [0.004, 0.025, -0.017], [-0.012, 0.023, -0.038], [0.043, -0.005, -0.036], [-0.035, -0.090, -0.012], [0.007, -0.004, 0.021], [0.014, 0.001, 0.009], [0.001, 0.002, 0.015], [0.012, -0.010, 0.022], [0.020, -0.025, 0.024], [-0.034, 0.002, 0.014], [0.011, 0.012, 0.046], [0.004, 0.009, 0.006], [-0.014, -0.025, -0.015], [-0.010, -0.026, -0.004], [0.146, -0.018, -0.065], [0.022, 0.066, 0.051], [-0.020, -0.031, -0.008], [0.036, -0.010, -0.033], [0.004, -0.006, 0.014]], "charge": 1}
>>>
WAMS Architecture Small Pilot Systems Large Enterprise-Class Systems High Availability & Co-Location Options Fully Scalable (locations, phasors, etc.) Fully Extensible (applications, etc.) Efficient & Flexible Archiving Flexible Display Building High Availability & Co-Location Options Fully Scalable (locations, phasors, etc.) Fully Extensible (applications, etc.) Efficient & Flexible Archiving Flexible Display Building
4 Software Solutions Portfolio Providing utility and industrial customers mission-critical IT solutions to modernize and ensure the reliable, efficient and safe delivery of electricity, water and fuels. GENERATION TRANSMISSION DISTRIBUTION DISTRIBUTED ENERGY DISTRIBUTED ENERGY Market Management Demand Response Management Energy Management Wide Area Monitoring Distribution Management Utilities Communications Advanced Analytics Solution as a Service Geospatial Information System Mobile Workforce Automation – Field Force Automation OIL AND GAS TELCO Pipeline Consulting and Integration Services
5 URTDSM – Powergrid, India
Largest WAMS Report in Blackouts called for WAMS; 1800 PMU’s with expansion capability to 3000 PMU’s ~ 350 substations > 20,000 phasor streams at 50Hz All data aggregated up to national level : State Level Regional Level National Level
Records of molecules, as found in the file:
<<<
(1)
Here is the molecule C5H10O5 at a distorted geometry from OMol25. Energies are from the ωB97M-V functional and the def2-TZVPD basis.

XYZ file:
```
20
Properties=species:S:1:pos:R:3:lowdin_charge:R:1
O -1.991 0.075 -2.315 -0.0288
C -1.723 0.552 -1.042 -0.2165
C -0.256 0.869 -0.754 -0.2722
O -0.246 1.504 0.518 -0.0080
C 0.395 0.641 1.451 -0.3290
O -0.526 -0.415 1.844 -0.0596
C 1.498 0.010 0.689 -0.3304
O 2.135 -1.055 1.229 0.0613
C 0.742 -0.214 -0.656 -0.2537
O 0.191 -1.515 -0.792 -0.0080
H -1.659 -0.819 -2.351 0.0807
H -2.261 1.539 -0.932 0.1552
H -1.985 -0.208 -0.273 0.1276
H -0.012 1.558 -1.569 0.1620
H 0.670 1.201 2.382 0.1751
H -0.019 -0.915 2.713 0.2194
H 2.090 0.850 0.413 0.1577
H 1.703 -1.816 0.840 0.0976
H 1.571 -0.130 -1.404 0.1750
H -0.315 -1.713 0.010 0.0946
```

## Properties
- Calculated total energy: -572.66118 Ha
- SMILES: OC[C@H]1O[C@@H](O)[C@@H](O)[C@H]1O
- Relative energy (zero: lowest compared OMol25 entry of this formula, charge and spin): 218.1 kJ/mol
- Charge: 0

---

(2)
Here is a cluster of 2 separate species, C5H10OS in total at a distorted geometry from OMol25. Energies are from the ωB97M-V functional and the def2-TZVPD basis.

XYZ file:
```
17
Properties=species:S:1:pos:R:3:lowdin_charge:R:1
C 2.509 -1.559 -0.113 -0.0590
C 1.374 -1.533 -1.007 -0.0857
C 0.255 0.017 1.595 -0.1264
C -2.255 1.999 -0.740 -0.3734
C -1.063 -0.366 -0.213 -0.4975
O -0.585 0.577 0.647 -0.2599
S -2.240 0.244 -1.204 0.8938
H 2.542 -2.376 0.564 0.0349
H 3.006 -0.620 -0.074 0.0324
H 0.676 -2.317 -1.150 0.0189
H 0.850 0.793 1.913 0.0609
H 1.014 -0.720 1.204 0.0498
H -0.393 -0.447 2.408 0.1210
H -2.871 2.565 -1.575 0.0836
H -1.196 2.383 -0.727 0.0611
H -2.652 2.073 0.186 -0.0185
H 1.029 -0.713 -1.715 0.0638
```

## Properties
- Calculated total energy: -669.75542 Ha
- Relative energy (zero: lowest compared OMol25 entry of this formula, charge and spin): 475.3 kJ/mol
- Charge: 0

---

(3)
Here is a cluster of 2 separate species, C5H10OS in total at a distorted geometry from OMol25. Energies are from the ωB97M-V functional and the def2-TZVPD basis.

XYZ file:
```
17
Properties=species:S:1:pos:R:3:lowdin_charge:R:1
C 0.360 0.453 1.343 -0.0078
C -1.992 1.326 -0.192 -0.3032
C 0.575 -0.291 0.254 -0.4883
C 1.263 0.297 -0.949 -0.0490
C 0.065 -1.672 0.141 -0.0851
O -3.773 -0.355 0.573 -0.6010
S -2.850 -0.017 -0.596 0.8611
H 0.580 1.565 1.345 0.0845
H -0.415 0.146 2.108 0.0885
H -1.220 1.665 -0.831 0.0006
H -2.348 1.772 0.804 0.0796
H 2.000 -0.472 -1.081 0.0812
H 1.611 1.178 -0.615 0.0346
H 0.546 0.234 -1.791 0.0998
H -0.503 -2.000 1.027 0.0895
H 0.679 -2.511 -0.172 0.0848
H -0.807 -1.564 -0.518 0.0301
```

## Properties
- Calculated total energy: -669.82021 Ha
- Relative energy (zero: lowest compared OMol25 entry of this formula, charge and spin): 305.2 kJ/mol
- Charge: 0

---

(4)
Here is the molecule C5H10OS at a distorted geometry from OMol25. Energies are from the ωB97M-V functional and the def2-TZVPD basis.

XYZ file:
```
17
>>>
Largest WAMS NLDC RLDC SLDC PMU CS PMU - STATES For 50Hz data… Approx bandwidth; ~2Mb/s per substation ~ 140Mb/s per state ~720Mb/s per region ~ 1200Mb/s national Approx. storage : ~620TB/y per control centre
8 VISOR – Scottish Power
VISOR VISOR will demonstrate: Extended oscillation monitoring Visualisation & alarming of frequency, damping & amplitude: Governor modes (new)0.002– 0.1Hz Electro-mechanical Modes (existing)0.1 – 4 Hz Sub-Synchronous Oscillations (new) 4 – 46 Hz Oscillation source location Determine relative contribution of each monitored location to an oscillation Present to users in a clear way Long-term analysis of oscillations Real-time analysis results stored over project, feeding: Annual reviews of power system dynamics Validation of system model
VISOR Frequency Torsional Modes Generator Shaft Frequency RLC Modes Frequency Network RLC Circuit Control Modes Power Electronic Converters Fixed Change with Grid Topology Mobile New Series Compensation and increasing Power Electronics in GB introduce SSO…
VISOR Electrical - Mechanical relationship Mechanical modes appear as modulations of V & I, at f synchronous ± f mechanical_mode Need qualitative visibility of modes in the 54-96Hz range, to tell grid modes from mechanical modes Bandwidth of existing monitoring PMU data at 50fps gives accurate visibility up to ~10Hz Need new data acquisition approach with visibility up to 96Hz, accurate up to 46Hz System Frequency Electrical Modes Mechanical Mode Frequency
SSO: Hardware “Waveform Measurement Unit” New: 1 st demonstration under VISOR Streams time-synchronised waveforms at 200 samples/s Sent as IEEE C (PMU) stream “analogs” – fully compliant Implemented within Alstom Reason RPV311 simultaneous PMU, WMU, DFR SSO Management Application Frequency, amplitude & damping of SSO modes in real time Analyses Voltage, Current & Shaft Speed Alarming on high amplitude or poor damping Geographic view to identify interacting locations Results stored for long-term study RA33x Acquisition Unit RPV311 Central Unit
These calculated molecules were left in the entry by mistake.
┌──
The following is a DFT calculation (wB97M-V/def2-TZVPD) of the ion C9H20NO2S with charge +1.

Last column: Mulliken charge in e.
Geometry (Å):
1 C -1.948 1.750 0.044  -0.419
2 C -0.639 2.498 -0.373  -0.608
3 C -0.725 -0.433 -0.135  0.401
4 C 0.587 0.515 -0.037  1.085
5 C -1.106 -0.850 -1.563  -1.857
6 C -0.394 -1.637 0.743  -1.406
7 C -3.078 -0.186 0.897  -0.933
8 C 4.486 -1.281 -0.109  -0.873
9 C 1.888 -0.161 -0.603  -1.315
10 N -1.704 0.433 0.543  -0.078
11 O 0.350 1.612 -0.899  -0.477
12 O 0.770 0.841 1.361  -0.511
13 S 3.490 0.098 0.433  -0.095
14 H -2.320 2.182 0.989  0.458
15 H -2.635 1.797 -0.804  0.303
16 H -0.724 3.139 -1.149  0.510
17 H -0.272 3.173 0.482  0.261
18 H -0.268 -1.346 -1.889  0.494
19 H -1.188 0.024 -2.109  0.494
20 H -2.073 -1.403 -1.693  0.328
21 H -1.169 -2.394 0.799  0.448
22 H -0.277 -1.232 1.750  0.452
23 H 0.609 -2.128 0.461  0.277
24 H -3.707 -0.279 0.025  0.382
25 H -2.870 -1.119 1.269  0.360
26 H -3.602 0.443 1.558  0.423
27 H 4.954 -0.929 -1.080  0.280
28 H 4.026 -2.229 -0.282  0.309
29 H 5.227 -1.476 0.640  0.386
30 H 2.120 0.282 -1.542  0.681
31 H 1.861 -1.169 -0.695  0.384
32 H -1.409 0.583 1.500  0.576
33 H 1.739 0.880 1.467  0.277

Output
total energy	-958.04062	a.u.
Kohn-Sham gap	9.3	eV
net charge	+1
E_LUMO	-0.0964	hartree
SMILES string	CSC[C@@]1(O)OCC[N@@H+](C)C1(C)C
HOMO level	-11.888	eV


[1]
The following is a quantum chemistry calculation of C27H35MnN5O2 as an isolated structure, from OMol25.

Its spin multiplicity is 5. The value obtained for the HOMO energy (alpha / beta) is -10.6 / -10.8 eV. Its net charge is +1. Its expectation value of S² is 6.05. Its frontier orbital gap (alpha / beta) is 7.42 / 8.03 eV. The energy comes out at -2624.9898 hartree. The value obtained for the LUMO energy (alpha / beta) is -3.204 / -2.805 eV.

```
70
C27H35MnN5O2 (ωB97M-V/def2-TZVPD)
Mn -0.73 0.43 0.38
C -2.98 1.88 -0.92
N -2.53 1.67 0.48
C -2.37 3.03 1.06
C -1.53 3.16 2.32
C -0.05 2.88 2.09
N 0.21 1.46 1.87
C 1.05 0.88 2.65
C 1.53 -0.47 2.53
C 2.21 -1.05 3.61
C 2.73 -2.32 3.52
C 2.59 -3.02 2.31
C 1.95 -2.47 1.23
C 1.40 -1.18 1.32
O 0.82 -0.65 0.26
C -3.64 0.91 1.13
C -3.54 0.55 2.61
C -2.33 -0.32 3.02
N -1.74 -0.89 1.83
C -1.87 -2.13 1.56
C -1.51 -2.73 0.29
C -1.37 -4.12 0.23
C -1.08 -4.76 -0.96
C -0.95 -4.00 -2.12
C -1.10 -2.62 -2.08
C -1.37 -1.96 -0.88
O -1.55 -0.64 -0.90
H -3.89 2.48 -0.93
H -3.17 0.92 -1.39
H -2.20 2.40 -1.48
H -3.37 3.44 1.24
H -1.91 3.65 0.29
H -1.89 2.54 3.14
H -1.62 4.20 2.65
H 0.54 3.23 2.94
H 0.29 3.43 1.20
H 1.47 1.46 3.48
H 2.33 -0.48 4.53
H 3.24 -2.77 4.36
H 3.00 -4.02 2.23
H 1.84 -3.00 0.29
H -3.75 0.00 0.55
H -4.56 1.49 0.99
H -4.46 -0.02 2.80
H -3.61 1.43 3.24
H -2.63 -1.10 3.72
H -1.57 0.30 3.51
H -2.30 -2.80 2.32
H -1.50 -4.70 1.14
H -0.97 -5.83 -0.99
H -0.73 -4.48 -3.06
H -1.01 -2.03 -2.98
N 0.19 1.97 -1.05
C 0.99 1.61 -1.82
N 1.91 1.22 -2.65
C 1.56 0.86 -4.04
C 2.62 1.42 -5.00
C 4.00 1.49 -4.32
C 4.13 0.41 -3.26
C 3.18 0.69 -2.10
H 0.57 1.25 -4.25
H 1.50 -0.23 -4.10
└──
Harmonics Mapping Harmonics Management Detection, Location, Real-time & Off-line Reporting Substation Measuremnt DFR Waveform 256 s/cycle From Proc Bus OR transducers Substation Process Harmonic analysis Results contin- uously streamed to Central Central Presentation Real-time system view & alarms Identify interactions Off-Line Reporting, diagnostics, event & long-term performance System view of harmonics (rather than conventional line view) interprets interactions Reason RPV311 Harmonics on 50Hz data stream Measurement Waveform recording Processing Harmonics analysis Presentation Geographic view, real-time & off-line Decisions Prompt alarms Interacting plants Reduce risk Real- Time Identify trends & risks Asset behaviour (PE) Connection requirements Off-line analysis Diagnostic (interaction) New connection test Renewable penetration Inter- active
Conclusion Future Trends include: Larger WAMS > 3000 PMU/WMU’s Current storage in ~0.6 PB/yr range but technology is still being adopted ~1.2Gb/s bandwidth Higher frequency phenomena due to increased PE 200Hz analysis for SSO, enhanced fault analysis 256s/cycle = ~ 12.8kHz sampling, ~200 times data handling compared to 50Hz sampling Better ways of handling & processing data Compression techniques Error handling, mainly for control and sensitive monitoring applications Extraction and analysis of key stability indicators in power systems